MRW 38222 KG
MTOW 37995 KG
MLW 34065 KG
MZFW 32092 KG
Maximum airport pressure altitude for TO & Landings?
10.000 FT
Maximum Operating Altitude?
41.000 FT
Max. weight in compartment 6 before one FD member has to stay in the cockpit before offload, due to tail tipping?
780 KG
Maximum Ambient air temperature approved for TO & Landing is?
ISA + 35 Degrees
Minimum Ambient air temperature approved for TO is?
Minus 40 Degrees
When shall Cowl Anti-ICE be selected on during ground ops?
OAT is 10 Degrees or below and visible moisture in any form is present such as fog with vis of 1500M or less, rain, snow, sleet & ice crystals.
And when operating on contaminated RWY’s & Taxiways.
When shall Cowl Anti-ICE be selected on during flight operations?
When in icing conditions which is:
TAT below 10 degrees and visible moisture is encountered such as clouds, rain, snow etc.
EXCEPT when SAT is -40Degrees or below.
When shall wing Anti-ICE be selected on during ground ops?
OAT is 5 Degrees or below and visible moisture in any form is present such as fog with vis of 1500M or less, rain, snow, sleet & ice crystals.
And when operating on contaminated RWY’s.
NOTE: When type II, III or IV anti-icing fluids has been applied, the wing anti-ice system must first be selected on prior to thrust increase for TO.
When shall wing Anti-ICE be selected on during flight operations?
When ICE is annunciated on EICAS or when in icing conditions and airspeed is less than 230 KIAS.
What is the maximum runway slopes? Up and downhill?
+2% Uphill
-2% Downhill
Max tailwind component for take-off & landings?
10 knots.
How many minutes must the flight be within a suitable airport, if cargo is carried in either cargo compartment?
60 minutes.
Green range for N1?
0 - 99.4% RPM
Green range for N2?
0 - 99.3% RPM
Green range for oil temp?
-40 - 155 Degrees
How many percent must the N1 setting on ED1 be within compared to the N1 setting on the perfo app?
How many minutes after engine start does the N1 need to stay below 75%?
2 minutes.
Normal take off power and maximum power (two engines) is limited to how many minutes?
What comes next are materials data, not part of the page =
No. 1
## LiVS2O8 (PBE with a Hubbard U)

Data for a relaxed structure of LiVS2O8.

Cell: 8.394 8.410 9.002 Å, 90.32 117.38 119.83°
Fractional positions:
Li 0.000 0.000 0.000
Li 0.139 0.748 0.091
Li 0.370 0.376 0.092
V 0.044 0.512 0.529
V 0.625 0.302 0.903
V 0.625 0.810 0.403
S 0.117 0.411 0.208
S 0.126 0.204 0.713
S 0.537 0.903 0.711
S 0.548 0.125 0.209
S 0.823 0.686 0.212
S 0.832 0.616 0.713
O 0.006 0.793 0.862
O 0.044 0.213 0.158
O 0.099 0.202 0.863
O 0.146 0.471 0.377
O 0.191 0.396 0.684
O 0.299 0.172 0.749
O 0.318 0.778 0.683
O 0.334 0.542 0.225
O 0.379 0.158 0.167
O 0.468 0.924 0.224
O 0.514 0.860 0.535
O 0.598 0.137 0.068
O 0.609 0.109 0.754
O 0.638 0.493 0.070
O 0.667 0.479 0.753
O 0.689 0.869 0.845
O 0.713 0.652 0.550
O 0.714 0.772 0.234
O 0.749 0.260 0.379
O 0.925 0.052 0.550
O 0.926 0.520 0.679
O 0.935 0.653 0.378
O 0.967 0.457 0.070
O 0.975 0.808 0.161

Calculated values
VASP energy   -231.9 eV for the cell shown
M_tot   2.0 μB per formula unit
Space group   No. 1

No. 2
## MgV4O7F5 (PBE with a Hubbard U)

Data for a relaxed structure of MgV4O7F5.

Cell: 5.173 5.437 8.938 Å, 92.78 105.86 117.88°
Fractional positions:
Mg 0.000 0.000 0.000
V 0.198 0.941 0.404
V 0.273 0.558 0.920
V 0.671 0.242 0.173
V 0.733 0.704 0.650
O 0.035 0.623 0.281
O 0.327 0.876 0.031
O 0.420 0.395 0.070
O 0.553 0.158 0.333
O 0.593 0.691 0.842
O 0.861 0.820 0.496
O 0.962 0.570 0.734
F 0.037 0.094 0.784
F 0.366 0.354 0.536
F 0.445 0.887 0.586
F 0.856 0.295 0.991
F 0.955 0.056 0.219

Calculated values
VASP energy   -114.1 eV for the cell shown
M_tot   3.0 μB per formula unit
Space group   No. 1

No. 3
## LiMnSiO4 (PBE with a Hubbard U)

Data for a relaxed structure of LiMnSiO4.

Cell: 9.042 6.408 4.917 Å, 90.00 90.00 90.00°
Fractional positions:
Li 0.163 0.250 0.038
Li 0.337 0.750 0.538
Li 0.663 0.250 0.462
Li 0.837 0.750 0.962
Mn 0.000 0.000 0.500
Mn 0.000 0.500 0.500
Mn 0.500 0.000 0.000
Mn 0.500 0.500 0.000
Si 0.179 0.750 0.035
Si 0.321 0.250 0.535
Si 0.679 0.750 0.465
Si 0.821 0.250 0.965
O 0.119 0.538 0.185
O 0.119 0.962 0.185
O 0.132 0.750 0.714
O 0.136 0.250 0.599
O 0.364 0.750 0.099
O 0.368 0.250 0.214
O 0.381 0.038 0.685
O 0.381 0.462 0.685
O 0.619 0.538 0.315
O 0.619 0.962 0.315
O 0.632 0.750 0.786
O 0.636 0.250 0.901
O 0.864 0.750 0.401
O 0.868 0.250 0.286
O 0.881 0.038 0.815
O 0.881 0.462 0.815

Calculated values
VASP energy   -200.8 eV for the cell shown
M_tot   4.0 μB per formula unit
Space group   No. 62

No. 4
## FeOF (PBE with a Hubbard U)

Data for a relaxed structure of FeOF.

Cell: 9.427 3.092 14.138 Å, 90.00 90.10 90.00°
Fractional positions:
Fe 0.000 0.000 0.000
Fe 0.000 0.000 0.332
Fe 0.228 0.500 0.500
Fe 0.244 0.500 0.181
Fe 0.271 0.500 0.829
Fe 0.495 0.000 0.322
Fe 0.496 0.000 0.989
Fe 0.505 0.000 0.676
Fe 0.731 0.500 0.835
Fe 0.747 0.500 0.183
Fe 0.770 0.500 0.495
Fe 0.995 0.000 0.655
O 0.097 0.500 0.396
O 0.151 0.000 0.230
O 0.156 0.000 0.568
O 0.344 0.000 0.763
O 0.397 0.500 0.938
O 0.402 0.500 0.269
O 0.602 0.500 0.728
5 minutes.
APR power for one engine is limited to how many minutes?
10 minutes.
ITT must be below how many degrees, before attempting to ground start engine?
120 Degrees.
What is the minimum oil level for flight?
40%. = 1 flight.
What is a cold soaked airplane?
When the airplane has been parked in more than -30 degrees for more than 8 hours.
When shall continuous ignition be used?
Take off and landings on contaminated runways.
Flights through moderate or heavy rainfall
Flights through moderate or severe turbulence.
Flight in the vicinity of thunderstorms.
Starter cranking limits on ground during engine start?
The starter must not be used when indicated n2 RPM exceeds 45%.
The starter must only be used for 90 seconds during start 1 & 2 followed by a 10 seconds cooldown.
Max altitude for engine relight windmilling?
Max altitude for engine relight starter assisted?
Max altitude for engine relight all-engine-out rapid relight?
Max fuel imbalance on ground?
Max fuel imbalance in flight?
Max usable fuel load for left main tank (pressure refueling)?
3398 KG
Max usable fuel load for right main tank (pressure refueling)?
3398 KG
Max usable fuel load for centre tank (pressure refueling)?
Max total usable fuel load (pressure refueling)?
The minimum fuel quantity for go-around is?
272 KG Per wing.
(With airplane level and maximum airplane clim attitude of 10 degrees nose up).
Minimum fuel temperature for take-off?
5 degrees.
Maximum oil consumption on each engine pr. hour?
0.05 us Gallons.
Max RPM for the APU?
106% RPM
Minimum ambient temperature for starting a cold soaked APU on the ground is?
-40 Degrees
Max APU starts per hour?
3 starts / start attempts.
( Two minute delay between cranking attempt to allow for cooling of starter and for APU drainage).
Max. EGT, APU on speed on ground?
682 - 789 degrees
Max. altitude for APU bleed air extraction?
25.000 FT
Max. permissible load on the APU generator?
40 KvA.
Max. EGT, APU on speed In flight?
807 degrees. (Green range 0-806)
Max mach number during cruise in RVSM airspace?
M 0.82
Max speeds for flaps?
FLAPS 1: 230
FLAPS 8: 230
FLAPS 20: 220
FLAPS 30: 185
FLAPS 45: 170
Maximum airspeed at which it is safe to extend the landing gear?
220 KIAS
Maximum airspeed at which it is safe to retract the landing gear?
200 KIAS
Max airspeed at which the airplane may be flown with the landing gear extended and locked?
200 KIAS
Tire limit speed?
195 KIAS
Max airspeed for ADG operations?
Turbulence penetration speed?
280 KIAS / MACH .75
Max speed for windshield wiper operation?
250 KIAS
Maneuvering limit load factors for flaps up and flaps down?
Flaps up: -1.0G - 2,5G
Flaps down: 0.0G - 2.0G
Maximum positive differential pressure is?
8.7 PSI
Maximum negative differential pressure is?
-0,5 PSI
Max altitude for single pack operation?
AP minimum use height for TO?
600 ft. AGL
AP minimum use height for NPA?
400 ft. AGL
AP minimum use height for one engine operating?
110 ft. AGL
AP minimum use height for PA?
60 ft. AGL.
Maximum permissible time for ground operation with DC power only?
5 minutes to protect the flight compartment CRT displays.
Max permissible continuous load on each TRU in-flight?
120 amp.